-- Wanted --
Your job: duplicate the lines underneath from the one with "7.2502 -1.1894" to the one with "1.4009 -0.6720" character by character.

-- Source --
~~~
Compound: Ho2Zr2O7
Source: the Materials Project
Functional: PBE-GGA
Structure: relaxed

formation energy	-3776	meV/atom
mass density	7.21	g/cm³

Structure (CIF):
```
data_Ho2Zr2O7
_cell_length_a 7.515
_cell_length_b 3.604
_cell_length_c 10.611
_cell_angle_alpha 90.00
_cell_angle_beta 90.00
_cell_angle_gamma 90.00
_symmetry_space_group_name_H-M 'P m m a'
_symmetry_Int_Tables_number 51
loop_
_symmetry_equiv_pos_as_xyz
'x,y,z'
'-x,-y,-z'
'-x+1/2,-y,z'
'x+1/2,y,-z'
'x+1/2,-y,-z'
'-x+1/2,y,z'
'-x,y,-z'
'x,-y,z'
loop_
_atom_site_label
_atom_site_fract_x
_atom_site_fract_y
_atom_site_fract_z
_atom_site_occupancy
Ho1 0.000 0.000 0.000 1
Ho2 0.250 0.500 0.274 1
Zr1 0.000 0.000 0.500 1
Zr2 0.250 0.500 0.745 1
O1 0.019 0.500 0.619 1
O2 0.044 0.500 0.129 1
O3 0.250 0.000 0.388 1
O4 0.250 0.000 0.632 1
O5 0.250 0.000 0.881 1
```

----------

[1]
Crystalline Zn2Cr3O8 at its relaxed geometry, computed with GGA+U.

Geometry as extended XYZ:
```
26
Lattice="5.8747 0.0000 0.0000 -2.9373 5.0876 0.0000 0.0000 0.0000 9.5357" Properties=species:S:1:pos:R:3 pbc="T T T"
Zn 2.9373 1.6959 0.2541
Zn 0.0000 3.3917 5.0220
Zn 2.9373 1.6959 4.0575
Zn 0.0000 3.3917 8.8254
Cr 1.4974 4.2562 2.3182
Cr 4.4347 0.8314 7.0861
Cr 0.0000 1.6627 2.3182
Cr 2.9373 3.4249 7.0861
Cr 1.4400 0.8314 7.0861
Cr -1.4974 4.2562 2.3182
O 4.4448 0.8256 1.4057
O 1.5074 4.2621 6.1736
O 0.0000 1.6511 6.1736
O 2.9373 3.4365 1.4057
O 1.4299 0.8256 1.4057
O -1.5074 4.2621 6.1736
O 1.6314 2.4499 8.2196
O -1.3059 2.6378 3.4518
O 0.0000 4.8997 3.4518
O 2.9373 0.1879 8.2196
O 0.0000 0.0000 3.3464
O 0.0000 0.0000 8.1143
O 0.0000 3.3917 1.2673
O 4.2433 2.4499 8.2196
O 1.3059 2.6378 3.4518
O 2.9373 1.6959 6.0352
```

Summary:
Final energy = -6.5328 eV/atom
Formation energy = -1.951 eV per atom
Crystal system = hexagonal
Volume = 142.50 Å³/f.u.

=====

[2]
Crystalline KAl2NiP3O14 at its relaxed geometry, computed with GGA+U.

Geometry as extended XYZ:
```
42
Lattice="2.2870 -6.6904 -4.4255 4.6059 3.3763 -6.0797 8.3586 -1.5418 2.3346" Properties=species:S:1:pos:R:3 pbc="T T T"
K 6.3979 1.6986 -5.2837
K 8.8536 -6.5545 -2.8869
Al 2.7130 -1.9721 -3.0923
Al 12.5386 -2.8838 -5.0783
Al 8.0013 -3.6666 -5.9903
Al 7.2502 -1.1894 -2.1803
Ni 4.9235 -4.7020 -4.2320
Ni 10.3281 -0.1539 -3.9386
P 7.1795 -1.5862 -8.1644
P 8.0720 -3.2697 -0.0062
P 4.4938 0.1107 -1.6023
P 10.7577 -4.9666 -6.5683
P 5.5389 -2.0304 -4.6709
P 9.7126 -2.8255 -3.4997
O 5.0079 -1.1374 -5.8088
O 10.2436 -3.7185 -2.3618
O 6.4784 -1.1501 -3.8245
O 8.7732 -3.7058 -4.3461
O 4.3724 -2.6678 -3.8517
O 10.8792 -2.1881 -4.3189
O 6.2615 -3.3202 -5.1735
O 8.9901 -1.5358 -2.9971
O 3.3347 -5.6046 -3.2899
O 11.9168 0.7487 -4.8807
O 5.9051 -6.4351 -4.7409
O 9.3464 1.5792 -3.4297
O 2.6969 -3.4267 -2.0500
O 12.5546 -1.4292 -6.1206
O 7.3223 -5.2294 -6.5368
O 7.9292 0.3735 -1.6338
O 5.7023 -2.0133 -8.2711
O 9.5492 -2.8426 0.1005
O 5.6511 -0.8507 -1.2675
O 9.6004 -4.0052 -6.9031
O 6.1714 -5.0447 -2.8457
O 9.0801 0.1887 -5.3249
O 3.5548 -4.8833 -5.5321
O 11.6967 0.0274 -2.6385
O 7.8287 -2.1094 -6.8641
O 7.4228 -2.7465 -1.3065
O 3.5941 -0.4537 -2.7239
O 11.6574 -4.4023 -5.4467
```

Summary:
Final energy = -6.5526 eV/atom
Formation energy = -2.375 eV per atom
Crystal system = monoclinic
Volume = 282.42 Å³/f.u.

=====

[3]
Crystalline KSmMo2O8 at its relaxed geometry, computed with GGA+U.

Geometry as extended XYZ:
```
12
Lattice="-2.7113 2.7113 5.9840 2.7113 -2.7113 5.9840 2.7113 2.7113 -5.9840" Properties=species:S:1:pos:R:3 pbc="T T T"
K 0.0000 2.7113 2.9920
Sm 0.0000 0.0000 0.0000
Mo 2.7113 0.0000 2.9920
Mo 0.0000 0.0000 5.9840
O 2.0393 1.3104 4.0235
O 3.5859 1.4321 -0.9092
O -0.8747 1.2792 5.0748
O 3.3832 -1.3104 4.0235
O 1.4321 1.8366 0.9092
O 4.0217 0.6720 1.9605
O 1.4009 -0.6720 1.9605
O 1.2792 0.8747 6.8931
```

Summary:
Final energy = -7.1049 eV/atom
Formation energy = -2.505 eV per atom
Crystal system = tetragonal
Volume = 175.95 Å³/f.u.

=====

> Look up the volume of the first one.

142.50 Å³/f.u.

----------

(1)
~~~

-- Worked solution --
Al 7.2502 -1.1894 -2.1803
Ni 4.9235 -4.7020 -4.2320
Ni 10.3281 -0.1539 -3.9386
P 7.1795 -1.5862 -8.1644
P 8.0720 -3.2697 -0.0062
P 4.4938 0.1107 -1.6023
P 10.7577 -4.9666 -6.5683
P 5.5389 -2.0304 -4.6709
P 9.7126 -2.8255 -3.4997
O 5.0079 -1.1374 -5.8088
O 10.2436 -3.7185 -2.3618
O 6.4784 -1.1501 -3.8245
O 8.7732 -3.7058 -4.3461
O 4.3724 -2.6678 -3.8517
O 10.8792 -2.1881 -4.3189
O 6.2615 -3.3202 -5.1735
O 8.9901 -1.5358 -2.9971
O 3.3347 -5.6046 -3.2899
O 11.9168 0.7487 -4.8807
O 5.9051 -6.4351 -4.7409
O 9.3464 1.5792 -3.4297
O 2.6969 -3.4267 -2.0500
O 12.5546 -1.4292 -6.1206
O 7.3223 -5.2294 -6.5368
O 7.9292 0.3735 -1.6338
O 5.7023 -2.0133 -8.2711
O 9.5492 -2.8426 0.1005
O 5.6511 -0.8507 -1.2675
O 9.6004 -4.0052 -6.9031
O 6.1714 -5.0447 -2.8457
O 9.0801 0.1887 -5.3249
O 3.5548 -4.8833 -5.5321
O 11.6967 0.0274 -2.6385
O 7.8287 -2.1094 -6.8641
O 7.4228 -2.7465 -1.3065
O 3.5941 -0.4537 -2.7239
O 11.6574 -4.4023 -5.4467
```

Summary:
Final energy = -6.5526 eV/atom
Formation energy = -2.375 eV per atom
Crystal system = monoclinic
Volume = 282.42 Å³/f.u.

=====

[3]
Crystalline KSmMo2O8 at its relaxed geometry, computed with GGA+U.

Geometry as extended XYZ:
```
12
Lattice="-2.7113 2.7113 5.9840 2.7113 -2.7113 5.9840 2.7113 2.7113 -5.9840" Properties=species:S:1:pos:R:3 pbc="T T T"
K 0.0000 2.7113 2.9920
Sm 0.0000 0.0000 0.0000
Mo 2.7113 0.0000 2.9920
Mo 0.0000 0.0000 5.9840
O 2.0393 1.3104 4.0235
O 3.5859 1.4321 -0.9092
O -0.8747 1.2792 5.0748
O 3.3832 -1.3104 4.0235
O 1.4321 1.8366 0.9092
O 4.0217 0.6720 1.9605
O 1.4009 -0.6720 1.9605